## Source
The following is a computed powder diffraction line list of Sm6Sb3Ru. It was derived from a cell relaxed with GGA-PBE, using λ = 1.5418 Å (Cu Kα).
Intensities are scaled so that the largest is 100.

Main lines, sorted by position (2θ from 5° to 70°):
index	Position (°2θ)	d (Å)	I (rel.)
1 2 0	26.24	3.396	22.8
1 0 -4	28.05	3.181	27.6
2 1 -2	28.73	3.107	28.5
2 1 -1	29.80	2.998	100.0
1 1 -4	30.01	2.977	76.8
0 2 3	32.49	2.756	25.3
0 0 4	32.80	2.731	23.2
1 3 -1	34.62	2.591	56.2
1 4 -1	45.08	2.011	30.0
2 3 1	49.02	1.858	22.1

```
data_Sm6Sb3Ru
_chemical_formula_sum 'Sm12 Sb6 Ru2'
_space_group_name_H-M_alt 'P 1 21/c 1'
_space_group_IT_number 14
_cell_length_a 6.685
_cell_length_b 8.432
_cell_length_c 12.736
_cell_angle_alpha 90.00
_cell_angle_beta 120.95
_cell_angle_gamma 90.00
loop_
_space_group_symop_operation_xyz
'x,y,z'
'-x,-y,-z'
'-x,y+1/2,-z+1/2'
'x,-y+1/2,z+1/2'
loop_
_atom_site_label
_atom_site_fract_x
_atom_site_fract_y
_atom_site_fract_z
Sm1 0.069 0.197 0.439
Sm2 0.288 0.660 0.434
Sm3 0.377 0.042 0.233
Sb1 0.164 0.117 0.738
Sb2 0.500 0.000 0.500
Ru1 0.000 0.000 0.000
```


1.
This entry pairs a crystal structure of LiDy4YSe8 with its computed X-ray powder pattern. Radiation: a wavelength of 1.5418 Å. Structure: a cell relaxed with GGA-PBE.
No peak broadening, texture or thermal motion is included.

Largest 12 diffraction maxima, in order of rising 2θ, 5° ≤ 2θ ≤ 70°:
- 2θ 12.96, rel. 398
- 2θ 14.98, rel. 142
- 2θ 21.24, rel. 123
- 2θ 24.97, rel. 782
- 2θ 30.22, rel. 789
- 2θ 39.59, rel. 443
- 2θ 43.27, rel. 1000
- 2θ 50.60, rel. 113
- 2θ 53.68, rel. 194
- 2θ 60.08, rel. 183
- 2θ 62.85, rel. 157
- 2θ 68.72, rel. 126

Structural model:
a b c (Å): 8.367 8.367 8.367
angles (deg): 59.96 59.96 59.96
Positions (direct):
Li1 0.000 0.000 0.000
Dy1 0.110 0.630 0.630
Dy2 0.250 0.250 0.250
Dy3 0.630 0.110 0.630
Dy4 0.630 0.630 0.110
Y1 0.630 0.630 0.630
Se1 0.384 0.384 0.384
Se2 0.384 0.384 0.850
Se3 0.384 0.850 0.384
Se4 0.391 0.870 0.870
Se5 0.850 0.384 0.384
Se6 0.870 0.391 0.870
Se7 0.870 0.870 0.391
Se8 0.870 0.870 0.870

***

2.
This entry pairs a crystal structure of Li4DyY3Se8 with its computed X-ray powder pattern. Radiation: a wavelength of 1.5418 Å. Structure: a cell relaxed with GGA-PBE.
No peak broadening, texture or thermal motion is included.

Largest 12 diffraction maxima, in order of rising 2θ, 5° ≤ 2θ ≤ 70°:
- 2θ 13.61, rel. 325
- 2θ 25.67, rel. 244
- 2θ 31.30, rel. 1000
- 2θ 34.28, rel. 124
- 2θ 41.29, rel. 56
- 2θ 44.51, rel. 372
- 2θ 45.20, rel. 355
- 2θ 46.76, rel. 89
- 2θ 55.42, rel. 192
- 2θ 56.60, rel. 60
- 2θ 62.59, rel. 46
- 2θ 65.31, rel. 116

Structural model:
a b c (Å): 8.025 8.025 8.025
angles (deg): 60.97 60.97 60.97
Positions (direct):
Li1 0.000 0.000 0.000
Li2 0.000 0.500 0.500
Li3 0.500 0.000 0.500
Li4 0.500 0.500 0.000
Dy1 0.500 0.500 0.500
Y1 0.000 0.000 0.500
Y2 0.000 0.500 0.000
Y3 0.500 0.000 0.000
Se1 0.249 0.249 0.748
Se2 0.249 0.748 0.249
Se3 0.251 0.251 0.251
Se4 0.252 0.751 0.751
Se5 0.748 0.249 0.249
Se6 0.749 0.749 0.749
Se7 0.751 0.252 0.751
Se8 0.751 0.751 0.252

***

3.
This entry pairs a crystal structure of Li4DySi4 with its computed X-ray powder pattern. Radiation: a wavelength of 1.5418 Å. Structure: a cell relaxed with GGA-PBE.
No peak broadening, texture or thermal motion is included.

Largest 12 diffraction maxima, in order of rising 2θ, 5° ≤ 2θ ≤ 70°:
- 2θ 18.25, rel. 1000
- 2θ 21.22, rel. 260
- 2θ 29.93, rel. 561
- 2θ 30.19, rel. 219
- 2θ 35.05, rel. 352
- 2θ 35.50, rel. 659
- 2θ 36.98, rel. 196
- 2θ 48.45, rel. 214
- 2θ 48.63, rel. 143
- 2θ 56.81, rel. 131
- 2θ 57.12, rel. 139
- 2θ 65.11, rel. 145

Structural model:
a b c (Å): 5.921 5.921 8.518
angles (deg): 90.00 90.00 90.00
Positions (direct):
Li1 0.007 0.250 0.162
Li2 0.250 0.007 0.662
Li3 0.250 0.493 0.662
Li4 0.493 0.250 0.162
Li5 0.507 0.750 0.838
Li6 0.750 0.507 0.338
Li7 0.750 0.993 0.338
Li8 0.993 0.750 0.838
Dy1 0.250 0.750 0.250
Dy2 0.750 0.250 0.750
Si1 0.051 0.250 0.461
Si2 0.250 0.051 0.961
Si3 0.250 0.449 0.961
## Job
Search the rows above for the word "Sm12" and transcribe each line that has it, please.
## Result
_chemical_formula_sum 'Sm12 Sb6 Ru2'